Abstracting and Indexing: Scopus; EI-Compendex
E-ISSN: 18818366


AABEA stands for Asian Agricultural and Biological Engineering Association. This association is for members of CIAM (The Chinese Institute of Agricultural Machinery), JSAM (The Japanese Society of Agricultural Machinery), KSAM (The Korean Society for Agricultural Machinery), and SASJ (The Society of Agricultural Structures, Japan).
AABEA publishes Electronic English Journal entitled Engineering in Agriculture, Environment and Food (EAEF) on the J-Stage web site every four months (in March, June, September and December).
Abstracts of the papers in this journal, EAEF are indexed in EI-COMPENDEX database. EI stands for Engineering Index, while EI-Compendex (Elsevier Engineering Information, Inc.) is a database the most widely covering engineering fields.

Article Processing Charge (APC)

The journal charges an APC of 480 USD (50,000 JPY for the time being) for all article types except for Invited Reviews.
However, extra charges of 100 USD (10,000 JPY) per page are levied if manuscripts exceed the page limits.

Open access journal

EAEF became a fully Open Access journal in January, 2023.
All articles published in the journal on or after this date are Open Access and published under the Creative Commons CC BY 4.0 (Attribution 4.0 International) license.
This license allows users to share and adapt an article, even commercially, as long as appropriate credit is given.

........
The following is a DFT calculation (PBE) of a geometry-optimized Pm2HoZn6 structure.

```
data_Pm2HoZn6
_symmetry_space_group_name_H-M 'P 6/m m m'
_symmetry_Int_Tables_number 191
_symmetry_space_group_name_Hall '-P 6 2'
_cell_length_a 7.8434
_cell_length_b 7.8434
_cell_length_c 3.5535
_cell_angle_alpha 90.00
_cell_angle_beta 90.00
_cell_angle_gamma 120.00
loop_
_atom_site_label
_atom_site_fract_x
_atom_site_fract_y
_atom_site_fract_z
Pm1 0.3333 0.6667 0.0000
Ho1 0.0000 0.0000 0.0000
Zn1 0.0000 0.3301 0.5000
```

Energy of formation = -0.3624 eV per atom
E = -25.0 eV per cell

=====

The following is a DFT calculation (PBE) of a geometry-optimized KSrSi4 structure.

```
data_KSrSi4
_symmetry_space_group_name_H-M 'C m m m'
_symmetry_Int_Tables_number 65
_symmetry_space_group_name_Hall '-C 2 2'
_cell_length_a 8.920
_cell_length_b 13.238
_cell_length_c 5.161
_cell_angle_alpha 90.00
_cell_angle_beta 90.00
_cell_angle_gamma 90.00
loop_
_atom_site_label
_atom_site_fract_x
_atom_site_fract_y
_atom_site_fract_z
K1 0.186 0.000 0.000
Sr1 0.000 0.280 0.000
Si1 0.000 0.091 0.500
Si2 0.127 0.500 0.500
Si3 0.246 0.159 0.500
```

Formation energy (no corrections) = 0.02 eV/atom
Energy relative to the lowest polymorph listed for this composition = 0.000 eV/atom
E = -97.5 eV per cell

=====

The following is a DFT calculation (PBE) of a geometry-optimized BC3 structure.

```
data_BC3
_symmetry_space_group_name_H-M 'C 1 m 1'
_symmetry_Int_Tables_number 8
_cell_length_a 11.664
_cell_length_b 2.578
_cell_length_c 5.143
_cell_angle_alpha 90.00
_cell_angle_beta 101.73
_cell_angle_gamma 90.00
loop_
_symmetry_equiv_pos_as_xyz
'x,y,z'
'x,-y,z'
'x+1/2,y+1/2,z'
'x+1/2,-y+1/2,z'
loop_
_atom_site_label
_atom_site_fract_x
_atom_site_fract_y
_atom_site_fract_z
B1 0.000 0.000 0.000
B2 0.110 0.000 0.407
B3 0.256 0.500 0.179
C1 0.003 0.000 0.551
C2 0.103 0.000 0.843
C3 0.179 0.500 0.881
C4 0.182 0.500 0.402
C5 0.264 0.500 0.683
C6 0.342 0.000 0.719
C7 0.354 0.000 0.224
C8 0.423 0.000 0.010
C9 0.426 0.000 0.512
```

Energy of formation = 0.3123 eV per atom
Energy relative to the lowest polymorph listed for this composition = 0.072 eV/atom
E = -198.6 eV per cell

=====

The following is a DFT calculation (PBE) of a geometry-optimized Al2CoTc structure.

```
data_Al2CoTc
_symmetry_space_group_name_H-M 'P m m a'
_symmetry_Int_Tables_number 51
_cell_length_a 4.216
_cell_length_b 2.948
_cell_length_c 8.382
_cell_angle_alpha 90.00
_cell_angle_beta 90.00
_cell_angle_gamma 90.00
loop_
_symmetry_equiv_pos_as_xyz
'x,y,z'
'-x,-y,-z'
'-x+1/2,-y,z'
'x+1/2,y,-z'
'x+1/2,-y,-z'
'-x+1/2,y,z'
'-x,y,-z'
'x,-y,z'
loop_
_atom_site_label
_atom_site_fract_x
_atom_site_fract_y
_atom_site_fract_z
Al1 0.250 0.000 0.122
Al2 0.250 0.000 0.650
Co1 0.250 0.500 0.886
Tc1 0.250 0.500 0.387
```

Energy of formation = -0.4204 eV per atom
Energy relative to the lowest polymorph listed for this composition = 0.000 eV/atom
E = -53.3 eV per cell

=====
........
### The text goes on

Past article transfer has been completed

It took a long time, but finally articles on Vol.7 to 12 had been transfered to J-Stage, and are enabled to access fill papaers.
We feel sorry for years of inconvenience, now you can access to all articles, from J-Stage.

Manuscript Guidline was renewed

Manuscripts Guidelines was renewed on 1st April 2023. Please check it out while a new submission.


Recently, we put URLs on References of each articles.
But when a new line is started a middle of URL, a space is added as a character.
This is a specification of the PDF file, and you will miss to reach to the linked page.
Please erase a space in that case or you can redirect from each articles home page.

Renewal Open

We are verry sorry for the EAEF is out of order so long time.
Now the new contribution system on ScholarOne is ready.
Please check the new manuscripts guideline carefully. As we get to publish by ourselves and pay for the system, publishing fee is set to 50,000 JPY.
The new issue Vol.13 No.1 is now on J-Stage. But sorry, from Vol.7 to 12 are still under the transfer working, and it will take a while. If you need PDF files of them please contact to us.

What's new
2024/07The Vol.17 No.2 was issued.
2024/07The Vol.17 No.1 was issued.
2024/02The Vol.16 No.4 was issued.
2024/02The Vol.16 No.3 was issued.
2023/11The Vol.16 No.2 was issued.
2023/10The Vol.16 No.1 was issued.
2023/10Articles from Vol.7 to 12 were tranfred toJ-Stage.
2023/04Manuscripts Guidelines was renewed.
2023/02The Vol.15 No.4 was issued.
2023/02The Vol.15 No.3 was issued.
2022/12The Vol.15 No.2 was issued.
2022/09The Vol.15 No.1 was issued.
2022/09The Vol.15 No.1 was issued.
2022/07The Vol.14 No.4 was issued.
2022/07The Vol.14 No.3 was issued.
2022/04The Vol.14 No.2 was issued.
2022/01The Vol.14 No.1 was issued.
2021/10The Vol.13 No.4 was issued.
2021/08The Vol.13 No.3 was issued.
2021/08The Vol.13 No.2 was issued.
2021/04The Vol.13 No.1 was issued.
2021/04Contribution and review system on ScholarOne is ready.
2021/01We are now working very hard to construct a new contribution and review system. Also to let the journal issu back to the J-Stage. We will announce the renewal as soon as possible, at the latest April 2021.